This week I was coaxed into purchasing the PC version of Minecraft, the hugely popular video game that the kids have been in love with for months on the Xbox360. I was crossed-armed adamant that this program would not enter my home, but logic won over when our new playmates created a server and wanted to meet online for private building parties. This was safe and T would be learning to type/chat online and get to spend quality brain time with a kid just like him. A kid that happens to live a good 45-60 minutes away, depending on the infamous Los Angeles Traffic.
So now they've got the full online version of Minecraft and it is much more educational than the Xbox version. It is also infinitely more addictive.
**These materials data were left in the text by mistake:**
~~~
[1]
Structure and simulated XRD peak list of Pr3Pt4 (a DFT-relaxed cell (GGA-PBE, the Materials Project); Cu Kα, 1.54184 Å).

Main lines, sorted by position (2θ from 15° to 90°):
- 2θ 31.0, d = 2.888 Å, intensity 26.8, hkl 4 -3 1
- 2θ 34.2, d = 2.625 Å, intensity 14.9, hkl 2 0 2
- 2θ 34.3, d = 2.615 Å, intensity 100.0, hkl 1 4 0
- 2θ 36.1, d = 2.487 Å, intensity 21.7, hkl 3 2 1
- 2θ 36.6, d = 2.454 Å, intensity 73.3, hkl 3 -2 2
- 2θ 41.2, d = 2.194 Å, intensity 23.0, hkl 3 1 2
- 2θ 48.8, d = 1.866 Å, intensity 12.4, hkl 7 -3 1
- 2θ 51.0, d = 1.789 Å, intensity 15.3, hkl 4 2 2
- 2θ 62.6, d = 1.484 Å, intensity 12.0, hkl 9 -4 1
- 2θ 62.9, d = 1.477 Å, intensity 11.8, hkl 0 7 2
- 2θ 64.2, d = 1.450 Å, intensity 15.5, hkl 0 8 1
- 2θ 70.4, d = 1.337 Å, intensity 9.6, hkl 1 3 4

Structural model:
Cell: 13.8348 13.8348 5.8408 Å, 90.00 90.00 120.00°
Space group R-3 (No. 148, hexagonal axes)
One atom of each set of equivalent atoms:
1 Pr 0.0423 0.2096 0.2388 [18 per cell]
2 Pt 0.0000 0.0000 0.0000 [3 per cell]
3 Pt 0.0000 0.0000 0.5000 [3 per cell]
4 Pt 0.0558 0.2757 0.7228 [18 per cell]


[2]
Structure and simulated XRD peak list of CaMg6AlO8 (a DFT-relaxed cell (GGA-PBE, the Materials Project); Cu Kα, 1.54184 Å).

Main lines, sorted by position (2θ from 15° to 90°):
- 2θ 30.5, d = 2.931 Å, intensity 1.6, hkl 1 1 1
- 2θ 30.8, d = 2.899 Å, intensity 1.6, hkl 0 0 3
- 2θ 35.5, d = 2.531 Å, intensity 20.3, hkl 1 1 2
- 2θ 37.1, d = 2.421 Å, intensity 1.4, hkl 1 0 3
- 2θ 41.0, d = 2.202 Å, intensity 100.0, hkl 2 0 0
- 2θ 41.5, d = 2.174 Å, intensity 46.8, hkl 0 0 4
- 2θ 59.4, d = 1.557 Å, intensity 28.6, hkl 2 2 0
- 2θ 59.8, d = 1.547 Å, intensity 54.5, hkl 2 0 4
- 2θ 71.1, d = 1.326 Å, intensity 8.5, hkl 3 1 2
- 2θ 71.8, d = 1.314 Å, intensity 4.1, hkl 1 1 6
- 2θ 75.0, d = 1.266 Å, intensity 24.9, hkl 2 2 4
- 2θ 88.9, d = 1.101 Å, intensity 7.7, hkl 4 0 0

Structural model:
Cell: 4.4030 4.4030 8.6967 Å, 90.00 90.00 90.00°
Space group P4/mmm (No. 123)
One atom of each set of equivalent atoms:
1 Ca 0.0000 0.0000 0.0000 [1 per cell]
2 Mg 0.0000 0.0000 0.5000 [1 per cell]
3 Mg 0.0000 0.5000 0.2581 [4 per cell]
4 Mg 0.5000 0.5000 0.5000 [1 per cell]
5 Al 0.5000 0.5000 0.0000 [1 per cell]
6 O 0.0000 0.0000 0.2646 [2 per cell]
7 O 0.0000 0.5000 0.0000 [2 per cell]
8 O 0.0000 0.5000 0.5000 [2 per cell]
9 O 0.5000 0.5000 0.2483 [2 per cell]


[3]
Structure and simulated XRD peak list of CeGaPt (a DFT-relaxed cell (GGA-PBE, the Materials Project); Cu Kα, 1.54184 Å).

Main lines, sorted by position (2θ from 15° to 90°):
- 2θ 25.9, d = 3.444 Å, intensity 21.4, hkl 1 0 2
- 2θ 26.3, d = 3.391 Å, intensity 32.6, hkl 1 1 1
- 2θ 32.9, d = 2.719 Å, intensity 34.5, hkl 1 1 2
- 2θ 34.0, d = 2.635 Å, intensity 32.0, hkl 2 0 2
- 2θ 34.4, d = 2.611 Å, intensity 100.0, hkl 2 1 1
- 2θ 39.9, d = 2.260 Å, intensity 78.9, hkl 0 1 3
- 2θ 40.7, d = 2.215 Å, intensity 40.6, hkl 0 2 0
- 2θ 44.7, d = 2.026 Å, intensity 11.8, hkl 3 0 2
- 2θ 47.7, d = 1.905 Å, intensity 11.7, hkl 2 1 3
~~~
We think we found Lucky's twin! |
Oh yes, we were going home alright. And we were starting school. It is only 11:30 am!
After making a healthy lunch of their favorite tuna salad, I grab up Moving Beyond The Page and their newly decorated Spelling and Vocab books. I gave them 6 words to write and we discussed them with what felt like sheer glee! These kids were into it! So we covered Urban, Rural, Goods and Services, Wants and Needs. Interesting and fun to hear their ideas on these things. We moved onto Community Buildings and identified them on worksheets, skipping the whole "add a sentence" section, as that would probably end up more like the "add some tears" section Next we moved over to the couch and read "Give a Pig a Pancake" and laughed our butts off. After that, a surprise Mad Lib and then two more because they begged. PJ is starting to get what a Noun, Adverb, Verb and Adjective is!
T began his online math with Dreambox and found it pretty entertaining and educational, while PJ and I played the card game War and then did some Oooka Island. PJ took at turn at Dreambox while Tommy read some Horrible Science.
Next we made borax-based Slime for T and homemade Play-Dough for PJ and decided we need to hit Lakeshore Learning in the morning. We need a lot more Elmer' Glue because we want to test the degrees of stringiness based on how much Borax we add.
[Materials data that have nothing to do with the article]
<<<
(1)
La4TcO10: simulated XRD peak list (Cu Ka), based on a crystal structure in Alexandria, relaxed with GGA-PBE.

Atomic structure:
```
La4TcO10
1.0
-4.359 4.359 2.806
4.359 -4.359 2.806
4.359 4.359 -2.806
La Tc O
4 1 10
Direct
0.100 0.698 0.798 La
0.302 0.100 0.401 La
0.698 0.900 0.599 La
0.900 0.302 0.202 La
0.500 0.500 0.000 Tc
0.110 0.376 0.919 O
0.192 0.110 0.735 O
0.250 0.750 0.500 O
0.376 0.457 0.265 O
0.457 0.192 0.081 O
0.543 0.808 0.919 O
0.624 0.543 0.735 O
0.750 0.250 0.500 O
0.808 0.890 0.265 O
0.890 0.624 0.081 O
```

Principal peaks in the range 10° ≤ 2θ ≤ 80°, low angle first:
Position (°2θ), I/Imax
27.86, 100
32.48, 19
46.16, 36
46.59, 18
54.40, 15
55.16, 29

(2)
LaZnTc2O8: simulated XRD peak list (Cu Ka), based on a crystal structure in Alexandria, relaxed with GGA-PBE.

Atomic structure:
```
LaZnTc2O8
1.0
-2.612 2.612 5.743
2.612 -2.612 5.743
2.612 2.612 -5.743
La Zn Tc O
1 1 2 8
Direct
0.000 0.000 0.000 La
0.750 0.250 0.500 Zn
0.250 0.750 0.500 Tc
0.500 0.500 0.000 Tc
0.081 0.652 0.078 O
0.161 0.261 0.593 O
0.348 0.425 0.429 O
0.431 0.839 0.100 O
0.575 0.004 0.922 O
0.668 0.569 0.407 O
0.739 0.332 0.900 O
0.996 0.919 0.571 O
```

Principal peaks in the range 10° ≤ 2θ ≤ 80°, low angle first:
Position (°2θ), I/Imax
28.73, 100
31.15, 14
34.33, 18
47.03, 31
53.95, 17
58.10, 27

(3)
La2TeO6: simulated XRD peak list (Cu Ka), based on a crystal structure in Alexandria, relaxed with GGA-PBE.

Atomic structure:
```
La2TeO6
1.0
5.554 0.000 0.000
0.000 9.549 0.000
0.000 0.000 10.479
La Te O
8 4 24
Direct
0.024 0.104 0.456 La
0.030 0.217 0.859 La
0.470 0.783 0.359 La
0.476 0.896 0.956 La
0.524 0.396 0.544 La
0.530 0.283 0.141 La
0.970 0.717 0.641 La
0.976 0.604 0.044 La
0.039 0.496 0.359 Te
0.461 0.504 0.859 Te
0.539 0.004 0.641 Te
0.961 0.996 0.141 Te
0.073 0.851 0.024 O
0.168 0.948 0.283 O
0.177 0.636 0.246 O
0.199 0.637 0.825 O
0.220 0.112 0.064 O
0.244 0.584 0.492 O
0.256 0.416 0.992 O
0.280 0.888 0.564 O
0.301 0.363 0.325 O
0.323 0.364 0.746 O
0.332 0.052 0.783 O
0.427 0.149 0.524 O
0.573 0.649 0.976 O
0.668 0.552 0.717 O
0.677 0.864 0.754 O
0.699 0.863 0.175 O
0.720 0.388 0.936 O
0.744 0.916 0.508 O
0.756 0.084 0.008 O
0.780 0.612 0.436 O
0.801 0.137 0.675 O
0.823 0.136 0.254 O
0.832 0.448 0.217 O
0.927 0.351 0.476 O
```

Principal peaks in the range 10° ≤ 2θ ≤ 80°, low angle first:
Position (°2θ), I/Imax
24.59, 42
25.16, 80
26.04, 100
31.68, 54
32.24, 33
51.34, 28

(4)
La2Ti2Te2O5: simulated XRD peak list (Cu Ka), based on a crystal structure in Alexandria, relaxed with GGA-PBE.

Atomic structure:
```
La2Ti2Te2O5
1.0
-1.983 1.983 13.692
1.983 -1.983 13.692
1.983 1.983 -13.692
La Ti Te O
2 2 2 5
Direct
0.138 0.138 0.000 La
0.862 0.862 0.000 La
0.434 0.434 0.000 Ti
0.566 0.566 0.000 Ti
0.305 0.305 0.000 Te
0.695 0.695 0.000 Te
0.082 0.582 0.500 O
0.418 0.918 0.500 O
0.500 0.500 0.000 O
0.582 0.082 0.500 O
0.918 0.418 0.500 O
```

Principal peaks in the range 10° ≤ 2θ ≤ 80°, low angle first:
Position (°2θ), I/Imax
12.93, 46
27.77, 56
>>>
[The materials data stop here]
By now it's time for cleaning up the kitchen, picking up the living room and for Mom to start dinner. Minecraft at 4:30? Be. My. Guest.
While tucking them in that night I asked them what they thought about their first day of school. They said "It was Awesome!" I'm a happy mom.
Saturday morning and I'm woken with my new (un)favorite query...PJ stands by the bed and asked "Can we play Minecraft?" Oh dear, it's going to be a long day...
10:30 and we grab "Life of Fred: Apples" and cozy up on my bed. We laughed through two chapters and wrote our simple math in a separate workbook. T can't stay away even though he already knows this stuff. We end up in a tickle attack because a resistent PJ won't recite the Days of the Week for me... Yes, this "schooling" is really stressful and rigorous ;-)
Next stop, Lakeshore Learning outlet where I scored big time on some awesome science stuff and filled the cart with educational games. $175 later, we're ready to rock this school year. Oh, darn it, I forgot the glue...
It's now Sunday morning, and Daddy finally has a day off. T walks in at 7am says "Mom, can we play Minecraft?" Oy, here we go again...